Tuesday, June 17, 2008

Credit cards for everyone! - CBS Chicago: "Christiansen said she decided to allow [her six-year old son] Bennett to fill out a credit card application from Bank of America. He accurately wrote in his birthday in 2002, his annual income of $0, and the fact that he is an "other," that is, neither a homeowner nor a renter. He signed his name in writing that was obviously that of a child, she said." (HT: Fark)


  1. I didn't qualify for my first credit card until I was 26 and even that card came with a strict limit. No wonder our banks are in the shape they are in today.

  2. Anonymous4:16 PM

    My mother signed me up for a store credit card when I was 7. We only used it to by school clothes (on sale) and paid it off as soon as the bill came. Got a checking account at the local bank about the same time.

    Thing was, I hit 18 with a solid credit history and was able to qualify for a used car loan without a co-signer out of the box.

    We've done the same for our kids, too. Of course, we manage their use of the cards and spent quite a bit of time educating them on the use of credit in general.

    How else are they to learn what not to do?

  3. When Obama is President, Big Credit Card will never hurt us again.

  4. Anonymous12:11 AM

    That's some searing satire right there. Especially in the same week it was revealed that Cindy McCain and a McCain kid have over $250,000 in debt on their three AmEx credit cards. "Luckily," AmEx is charging the McCains a very reasonable 0% interest rate.

    True, John McCain has pushed the credit company agenda in the Senate for many years, but it's all a crazy world of luck and coincidence.

  5. Anonymous10:11 AM

    Ohhh nozzz! 250k of debt and they only have $100,000,000 in assets to pay it off with... Scandal!

    Someone call Dan Rather.

  6. Anonymous3:44 PM

    It's the 0% interest that's newsworthy, LOLZEinstein.

    Why don't you call AmEx and ask for one of their standard-issue neverending six-figure loans?

  7. "AmEx is charging the McCains a very reasonable 0% interest rate"

    Um, am I missing something here? American Express is a CHARGE card, not a credit card. It charges EVERYBODY 0% interest.


  8. Anonymous8:56 AM

    Yeah, no shit. I have one, too, at 0%. My debt is only 5k, but my assets are worth slightly less than $100 million.

  9. Don't you guys worry, nasty facts have never stopped a Lefty troll for long.

  10. Anonymous2:18 PM

    Typically, 0% credit card deals are capped at five or ten thousand dollars. And they shed their zero percent rate after the initial 6-9 months.

Records of crystals from another source follow:
Entry 1:
Compound: BaPmCdSb
Source: the Alexandria database
Functional: GGA-PBE
Structure: optimized geometry

Cell: 5.680 5.680 5.680 Å, 60.00 60.00 60.00°
Fractional positions:
Ba 0.000 0.000 0.000
Pm 0.500 0.500 0.500
Cd 0.750 0.750 0.750
Sb 0.250 0.250 0.250

Properties
As for the crystal system: cubic. The value obtained for the magnetic moment is 0.00 μB per cell. Its calculated volume is 32.40 Å³ per atom. The value obtained for the formation energy from raw total energies is -500 meV/atom. The space group is F-43m (216).


Entry 2:
Compound: Ba2PmCdSe5
Source: the Alexandria database
Functional: GGA-PBE
Structure: optimized geometry

Cell: 9.799 9.799 13.325 Å, 90.00 90.00 154.07°
Fractional positions:
Ba 0.114 0.886 0.500
Ba 0.129 0.871 0.129
Ba 0.871 0.129 0.629
Ba 0.886 0.114 0.000
Pm 0.208 0.792 0.828
Pm 0.792 0.208 0.328
Cd 0.450 0.550 0.260
Cd 0.550 0.450 0.760
Se 0.052 0.948 0.873
Se 0.291 0.709 0.476
Se 0.311 0.689 0.179
Se 0.358 0.642 0.819
Se 0.495 0.505 0.581
Se 0.505 0.495 0.081
Se 0.642 0.358 0.319
Se 0.689 0.311 0.679
Se 0.709 0.291 0.976
Se 0.948 0.052 0.373

Properties
As for the crystal system: orthorhombic. The value obtained for the magnetic moment is 0.00 μB per cell. Its calculated volume is 31.08 Å³ per atom. The value obtained for the formation energy from raw total energies is -1517 meV/atom. The space group is Cmc2_1 (36).


Entry 3:
Compound: Ba3Pm3CdTe8
Source: the Alexandria database
Functional: GGA-PBE
Structure: optimized geometry

Cell: 9.574 9.574 9.574 Å, 57.47 57.47 57.47°
Fractional positions:
Ba 0.000 0.500 0.500
Ba 0.500 0.000 0.500
Ba 0.500 0.500 0.000
Pm 0.000 0.000 0.500
Pm 0.000 0.500 0.000
Pm 0.500 0.000 0.000
Cd 0.500 0.500 0.500
Te 0.240 0.739 0.739
Te 0.241 0.241 0.241
Te 0.261 0.261 0.760
Te 0.261 0.760 0.261
Te 0.739 0.240 0.739
Te 0.739 0.739 0.240
Te 0.759 0.759 0.759
Te 0.760 0.261 0.261

Properties
As for the crystal system: trigonal. The value obtained for the magnetic moment is 0.00 μB per cell. Its calculated volume is 38.97 Å³ per atom. The value obtained for the formation energy from raw total energies is -1382 meV/atom. The space group is R-3m (166).


Entry 4:
Compound: BaPmZnCd
Source: the Alexandria database
Functional: GGA-PBE
Structure: optimized geometry

Cell: 5.595 5.595 5.595 Å, 60.00 60.00 60.00°
Fractional positions:
Ba 0.000 0.000 0.000
Pm 0.500 0.500 0.500
Zn 0.250 0.250 0.250
Cd 0.750 0.750 0.750

Properties
As for the crystal system: cubic. The value obtained for the magnetic moment is 0.00 μB per cell. Its formation energy is -0.159 eV/atom. Its calculated volume is 30.95 Å³ per atom. The space group is F-43m (216).

----------

First-principles (PBE) data for a relaxed CdAsCl3 crystal, as listed in the Alexandria database.

Summary:
space-group type = No. 221
electronic total energy = -12.49 eV for the cell shown

Structure (POSCAR):
```
CdAsCl3
1.0
5.0975 0.0000 0.0000
0.0000 5.0975 0.0000
0.0000 0.0000 5.0975
As Cl Cd
1 3 1
direct
0.0000 0.0000 0.0000
Here the piece continues:

    If it's a charge card, the balance has to be paid monthly.

    It's possible that the McCains are racking up $300,000 in expenses each month and paying them off in full the next. But it's certainly going to put a damper on the next "Obama, Elitist" broadside.

  11. Anonymous3:03 PM

    Rightwing blogolockstep, 2004: "Why won't Teresa Heinz Kerry come clean? What's she hiding?"

    Rightwing blogolockstep, 2008: "Ignore trollish curiosity. Except for a couple of extra zeroes, Cindy McCain's just like me!"
